-- Request --
Say how many lines of the lines underneath hold the word "file", as a bare number.

-- File --
=====
1.
The following is a GGA-PBE calculation of an optimized crystal structure of HgAsSe, from the Alexandria database.

Computed properties:
DOS(E_F) ... 0.79 states/eV per cell
E_tot ... -0.206 Ry/atom
ΔE_f (raw) ... 0.009 eV/atom
Total magnetization ... 0.00 μB per cell

CIF file:
```
data_HgAsSe
_cell_length_a 3.614
_cell_length_b 6.401
_cell_length_c 7.861
_cell_angle_alpha 100.34
_cell_angle_beta 103.26
_cell_angle_gamma 90.09
_space_group_name_H-M_alt 'P -1'
_space_group_IT_number 2
loop_
_space_group_symop_operation_xyz
'x,y,z'
'-x,-y,-z'
loop_
_atom_site_label
_atom_site_type_symbol
_atom_site_fract_x
_atom_site_fract_y
_atom_site_fract_z
Hg1 Hg 0.062 0.188 0.123
As1 As 0.182 0.548 0.363
Se1 Se 0.372 0.242 0.746
```


2.
The following is a GGA-PBE calculation of an optimized crystal structure of HgAs2Se, from the Alexandria database.

Computed properties:
DOS(E_F) ... 1.15 states/eV per cell
E_tot ... -0.217 Ry/atom
ΔE_f (raw) ... 0.321 eV/atom
Total magnetization ... 0.00 μB per cell

CIF file:
```
data_HgAs2Se
_cell_length_a 3.761
_cell_length_b 3.761
_cell_length_c 7.765
_cell_angle_alpha 90.00
_cell_angle_beta 90.00
_cell_angle_gamma 90.00
_space_group_name_H-M_alt 'P 4/m m m'
_space_group_IT_number 123
_space_group_name_Hall '-P 4 2'
loop_
_atom_site_label
_atom_site_type_symbol
_atom_site_fract_x
_atom_site_fract_y
_atom_site_fract_z
Hg1 Hg 0.000 0.000 0.000
As1 As 0.500 0.500 0.348
Se1 Se 0.000 0.000 0.500
```


3.
The following is a GGA-PBE calculation of an optimized crystal structure of HgAs2Se, from the Alexandria database.

Computed properties:
DOS(E_F) ... 5.18 states/eV per cell
E_tot ... -0.212 Ry/atom
ΔE_f (raw) ... 0.391 eV/atom
Total magnetization ... 0.00 μB per cell

CIF file:
```
data_HgAs2Se
_cell_length_a 3.474
_cell_length_b 5.747
_cell_length_c 8.886
_cell_angle_alpha 90.00
_cell_angle_beta 90.00
_cell_angle_gamma 90.00
_space_group_name_H-M_alt 'I m m m'
_space_group_IT_number 71
_space_group_name_Hall '-I 2 2'
loop_
_atom_site_label
_atom_site_type_symbol
_atom_site_fract_x
_atom_site_fract_y
_atom_site_fract_z
Hg1 Hg 0.000 0.000 0.000
As1 As 0.000 0.500 0.230
Se1 Se 0.000 0.000 0.500
```


4.
The following is a GGA-PBE calculation of an optimized crystal structure of HgAsSe, from the Alexandria database.

Computed properties:
DOS(E_F) ... 1.65 states/eV per cell
E_tot ... -0.196 Ry/atom
ΔE_f (raw) ... 0.140 eV/atom
Total magnetization ... 0.00 μB per cell

CIF file:
```
data_HgAsSe
_cell_length_a 3.8176
_cell_length_b 3.8176
_cell_length_c 5.5877
_cell_angle_alpha 90.00
_cell_angle_beta 90.00
_cell_angle_gamma 120.00
_space_group_name_H-M_alt 'P 3 m 1'
_space_group_IT_number 156
loop_
_space_group_symop_operation_xyz
'x,y,z'
'-y,x-y,z'
'-x+y,-x,z'
'-y,-x,z'
'-x+y,y,z'
'x,x-y,z'
loop_
_atom_site_label
_atom_site_type_symbol
_atom_site_fract_x
_atom_site_fract_y
_atom_site_fract_z
Hg1 Hg 0.0000 0.0000 0.0000
As1 As 0.3333 0.6667 0.6577
Se1 Se 0.6667 0.3333 0.3725
```


5.
The following is a GGA-PBE calculation of an optimized crystal structure of HgAsSe, from the Alexandria database.

Computed properties:
DOS(E_F) ... 2.25 states/eV per cell
E_tot ... -0.184 Ry/atom
ΔE_f (raw) ... 0.302 eV/atom
Total magnetization ... 0.00 μB per cell

CIF file:
```
data_HgAsSe
_cell_length_a 5.2667
_cell_length_b 5.2667
_cell_length_c 2.8616
_cell_angle_alpha 90.00
_cell_angle_beta 90.00
_cell_angle_gamma 120.00
_space_group_name_H-M_alt 'P -6 m 2'
_space_group_IT_number 187
_space_group_name_Hall 'P -6 2'
loop_
_atom_site_label
_atom_site_type_symbol
_atom_site_fract_x
_atom_site_fract_y
_atom_site_fract_z
Hg1 Hg 0.0000 0.0000 0.0000
As1 As 0.3333 0.6667 0.0000
Se1 Se 0.6667 0.3333 0.0000
```


6.
The following is a GGA-PBE calculation of an optimized crystal structure of HgAs2Se, from the Alexandria database.

Computed properties:
DOS(E_F) ... 3.10 states/eV per cell
E_tot ... -0.214 Ry/atom
ΔE_f (raw) ... 0.361 eV/atom
Total magnetization ... 0.00 μB per cell

CIF file:
```
data_HgAs2Se
_cell_length_a 3.048
=====

-- Done --
6